Brief
It remains to write out the lines further down up to the one that holds "Nd21 0.9564", that line included.
File
Calculated XRD peak list
Compound: CaTm2Te4
Radiation: copper Kα
Structure: a DFT-relaxed cell (GGA-PBE, the Materials Project)
Intensities are scaled so that the largest is 100.

Largest 8 diffraction maxima, most intense first, 10° ≤ 2θ ≤ 80°:
- 2θ 28.6, d 3.126, I = 100, hkl 1 1 1
- 2θ 12.0, d 7.360, I = 52, hkl 0 0 1
- 2θ 29.1, d 3.067, I = 48, hkl 2 0 -2
- 2θ 40.7, d 2.219, I = 38, hkl 1 1 -3
- 2θ 41.8, d 2.161, I = 36, hkl 3 1 -1
- 2θ 51.3, d 1.780, I = 22, hkl 2 2 -2
- 2θ 40.3, d 2.236, I = 19, hkl 2 0 2
- 2θ 41.3, d 2.185, I = 19, hkl 0 2 0

Cell and atoms:
```
CaTm2Te4
1.0
7.4581 0.0000 0.0000
0.0000 4.3705 0.0000
-2.3670 0.0000 7.3603
Ca Tm Te
1 2 4
Direct
0.0000 0.0000 0.0000
0.0000 0.5000 0.5000
0.5000 0.0000 0.5000
0.2456 0.0000 0.7353
0.2612 0.5000 0.2582
0.7388 0.5000 0.7418
0.7544 0.0000 0.2647
```

=====

# 1
Starting from DFT lattice parameters and positions (PBE), the powder XRD pattern of TbNd12Sc2 was calculated for Cu Kα (weighted mean of Kα1 and Kα2).

The 8 most intense peaks (10° ≤ 2θ ≤ 90°), low angle first:
| 2θ/deg | I/Imax |
| --- | --- |
| 26.23 | 37 |
| 28.93 | 37 |
| 30.59 | 37 |
| 31.19 | 55 |
| 32.01 | 100 |
| 32.95 | 57 |
| 36.59 | 38 |
| 62.30 | 28 |

Cell and atoms:
Lattice parameters (Å, degrees): 6.7308 6.7308 25.6213 90.00 90.00 116.88
Positions (direct):
Tb1 0.2500 0.7500 0.9994
Tb2 0.7500 0.2500 0.0006
Nd1 0.0006 0.5006 0.8718
Nd2 0.0010 0.9990 0.0731
Nd3 0.0211 0.5211 0.3852
Nd4 0.0436 0.9564 0.5589
Nd5 0.2500 0.2500 0.1966
Nd6 0.2500 0.2500 0.3202
Nd7 0.2500 0.2500 0.6798
Nd8 0.2500 0.2500 0.8034
Nd9 0.4564 0.5436 0.5589
Nd10 0.4789 0.9789 0.3852
Nd11 0.4990 0.5010 0.0731
Nd12 0.4994 0.9994 0.8718
Nd13 0.5006 0.0006 0.1282
Nd14 0.5010 0.4990 0.9269
Nd15 0.5211 0.0211 0.6148
Nd16 0.5436 0.4564 0.4411
Nd17 0.7500 0.7500 0.1966
Nd18 0.7500 0.7500 0.3202
Nd19 0.7500 0.7500 0.6798
Nd20 0.7500 0.7500 0.8034
Nd21 0.9564 0.0436 0.4411
Nd22 0.9789 0.4789 0.6148
Nd23 0.9990 0.0010 0.9269
Nd24 0.9994 0.4994 0.1282
Sc1 0.2500 0.7500 0.2592
Sc2 0.2500 0.7500 0.7388
Sc3 0.7500 0.2500 0.2612
Sc4 0.7500 0.2500 0.7408

# 2
Starting from DFT lattice parameters and positions (PBE), the powder XRD pattern of Zr2AlNi was calculated for Cu Kα (weighted mean of Kα1 and Kα2).

The 8 most intense peaks (10° ≤ 2θ ≤ 90°), low angle first:
| 2θ/deg | I/Imax |
| --- | --- |
| 33.60 | 44 |
| 34.04 | 43 |
| 35.10 | 84 |
| 36.29 | 56 |
| 36.77 | 100 |
| 40.97 | 37 |
| 42.11 | 34 |
| 42.63 | 47 |

Cell and atoms:
Lattice parameters (Å, degrees): 5.0571 5.5314 5.5726 105.89 91.48 103.65
Positions (direct):
Zr1 0.1526 0.1237 0.2700
Zr2 0.2494 0.5234 0.8575
Zr3 0.7506 0.4766 0.1425
Zr4 0.8474 0.8763 0.7300
Al1 0.3058 0.7038 0.4107
Al2 0.6942 0.2962 0.5893
Ni1 0.3796 0.0506 0.8210
Ni2 0.6204 0.9494 0.1790

# 3
Starting from DFT lattice parameters and positions (PBE), the powder XRD pattern of K3Tl5Pd2 was calculated for Cu Kα (weighted mean of Kα1 and Kα2).

The 8 most intense peaks (10° ≤ 2θ ≤ 90°), low angle first:
| 2θ/deg | I/Imax |
| --- | --- |
| 14.53 | 18 |
| 18.59 | 51 |
| 28.40 | 100 |
| 33.47 | 15 |
| 34.58 | 49 |
| 37.82 | 17 |
| 38.40 | 40 |
| 58.25 | 21 |

Cell and atoms:
Lattice parameters (Å, degrees): 10.2189 10.2189 10.2189 106.76 88.24 137.93
Positions (direct):
K1 0.1461 0.2464 0.3925
K2 0.2500 0.2500 0.0000
K3 0.3539 0.7464 0.1003
K4 0.6461 0.2536 0.8997
K5 0.7500 0.7500 0.0000
K6 0.8539 0.7536 0.6075
Tl1 0.0122 0.7500 0.2622
Tl2 0.1015 0.6743 0.7758
Tl3 0.2500 0.7500 0.5000
Tl4 0.3985 0.1743 0.5727
Tl5 0.4878 0.7500 0.7378
Tl6 0.5122 0.2500 0.2622
Tl7 0.6015 0.8257 0.4273
Tl8 0.7500 0.2500 0.5000
Tl9 0.8985 0.3257 0.2242
Tl10 0.9878 0.2500 0.7378
Pd1 0.1622 0.8832 0.0453
Pd2 0.3378 0.3832 0.7210
Pd3 0.6622 0.6168 0.2790
Pd4 0.8378 0.1168 0.9547

=====

# Sr3TlO
Theoretical powder diffraction line list, Cu Kα X-rays. Input: a DFT-relaxed cell (PBE, Alexandria).

Structural model:
Lattice parameters (Å, degrees): 6.3897 15.2215 7.2157 90.00 90.00 90.00
Atoms (fractional coordinates):
Completed
Calculated XRD peak list
Compound: CaTm2Te4
Radiation: copper Kα
Structure: a DFT-relaxed cell (GGA-PBE, the Materials Project)
Intensities are scaled so that the largest is 100.

Largest 8 diffraction maxima, most intense first, 10° ≤ 2θ ≤ 80°:
- 2θ 28.6, d 3.126, I = 100, hkl 1 1 1
- 2θ 12.0, d 7.360, I = 52, hkl 0 0 1
- 2θ 29.1, d 3.067, I = 48, hkl 2 0 -2
- 2θ 40.7, d 2.219, I = 38, hkl 1 1 -3
- 2θ 41.8, d 2.161, I = 36, hkl 3 1 -1
- 2θ 51.3, d 1.780, I = 22, hkl 2 2 -2
- 2θ 40.3, d 2.236, I = 19, hkl 2 0 2
- 2θ 41.3, d 2.185, I = 19, hkl 0 2 0

Cell and atoms:
```
CaTm2Te4
1.0
7.4581 0.0000 0.0000
0.0000 4.3705 0.0000
-2.3670 0.0000 7.3603
Ca Tm Te
1 2 4
Direct
0.0000 0.0000 0.0000
0.0000 0.5000 0.5000
0.5000 0.0000 0.5000
0.2456 0.0000 0.7353
0.2612 0.5000 0.2582
0.7388 0.5000 0.7418
0.7544 0.0000 0.2647
```

=====

# 1
Starting from DFT lattice parameters and positions (PBE), the powder XRD pattern of TbNd12Sc2 was calculated for Cu Kα (weighted mean of Kα1 and Kα2).

The 8 most intense peaks (10° ≤ 2θ ≤ 90°), low angle first:
| 2θ/deg | I/Imax |
| --- | --- |
| 26.23 | 37 |
| 28.93 | 37 |
| 30.59 | 37 |
| 31.19 | 55 |
| 32.01 | 100 |
| 32.95 | 57 |
| 36.59 | 38 |
| 62.30 | 28 |

Cell and atoms:
Lattice parameters (Å, degrees): 6.7308 6.7308 25.6213 90.00 90.00 116.88
Positions (direct):
Tb1 0.2500 0.7500 0.9994
Tb2 0.7500 0.2500 0.0006
Nd1 0.0006 0.5006 0.8718
Nd2 0.0010 0.9990 0.0731
Nd3 0.0211 0.5211 0.3852
Nd4 0.0436 0.9564 0.5589
Nd5 0.2500 0.2500 0.1966
Nd6 0.2500 0.2500 0.3202
Nd7 0.2500 0.2500 0.6798
Nd8 0.2500 0.2500 0.8034
Nd9 0.4564 0.5436 0.5589
Nd10 0.4789 0.9789 0.3852
Nd11 0.4990 0.5010 0.0731
Nd12 0.4994 0.9994 0.8718
Nd13 0.5006 0.0006 0.1282
Nd14 0.5010 0.4990 0.9269
Nd15 0.5211 0.0211 0.6148
Nd16 0.5436 0.4564 0.4411
Nd17 0.7500 0.7500 0.1966
Nd18 0.7500 0.7500 0.3202
Nd19 0.7500 0.7500 0.6798
Nd20 0.7500 0.7500 0.8034
Nd21 0.9564 0.0436 0.4411